Input =
<<<
Entry 1:
ZnCu15H24Cl8O24: optimized geometry, GGA-PBE.

Values from the calculation:
* DFT formation energy: -1021 meV/atom
* crystal system: trigonal

Cell: 18.912 18.912 18.912 Å, 21.22 21.22 21.22°
Fractional coordinates of all 72 atoms:
Zn: 0.500 0.500 0.500
Cu: 0.125 0.625 0.125
Cu: 0.375 0.874 0.375
Cu: 0.875 0.375 0.875
Cu: 0.625 0.126 0.625
Cu: 0.375 0.375 0.874
Cu: 0.625 0.625 0.126
Cu: 0.125 0.125 0.625
Cu: 0.875 0.875 0.375
Cu: 0.625 0.125 0.125
Cu: 0.874 0.375 0.375
Cu: 0.375 0.875 0.875
Cu: 0.126 0.625 0.625
Cu: 0.250 0.250 0.250
Cu: 0.000 0.000 0.000
Cu: 0.750 0.750 0.750
H: 0.468 0.870 0.468
H: 0.720 0.117 0.720
H: 0.219 0.620 0.219
H: 0.968 0.372 0.968
H: 0.468 0.468 0.870
H: 0.720 0.720 0.117
H: 0.219 0.219 0.620
H: 0.968 0.968 0.372
H: 0.870 0.468 0.468
H: 0.117 0.720 0.720
H: 0.620 0.219 0.219
H: 0.372 0.968 0.968
H: 0.032 0.628 0.032
H: 0.280 0.883 0.280
H: 0.781 0.380 0.781
H: 0.532 0.130 0.532
H: 0.032 0.032 0.628
H: 0.280 0.280 0.883
H: 0.781 0.781 0.380
H: 0.532 0.532 0.130
H: 0.628 0.032 0.032
H: 0.883 0.280 0.280
H: 0.380 0.781 0.781
H: 0.130 0.532 0.532
Cl: 0.330 0.330 0.330
Cl: 0.580 0.580 0.580
Cl: 0.080 0.080 0.080
Cl: 0.830 0.830 0.830
Cl: 0.170 0.170 0.170
Cl: 0.420 0.420 0.420
Cl: 0.920 0.920 0.920
Cl: 0.670 0.670 0.670
O: 0.401 0.028 0.401
O: 0.654 0.274 0.654
O: 0.151 0.778 0.151
O: 0.900 0.530 0.900
O: 0.401 0.401 0.028
O: 0.654 0.654 0.274
O: 0.151 0.151 0.778
O: 0.900 0.900 0.530
O: 0.028 0.401 0.401
O: 0.274 0.654 0.654
O: 0.778 0.151 0.151
O: 0.530 0.900 0.900
O: 0.100 0.470 0.100
O: 0.346 0.726 0.346
O: 0.849 0.222 0.849
O: 0.599 0.972 0.599
O: 0.100 0.100 0.470
O: 0.346 0.346 0.726
O: 0.849 0.849 0.222
O: 0.599 0.599 0.972
O: 0.470 0.100 0.100
O: 0.726 0.346 0.346
O: 0.222 0.849 0.849
O: 0.972 0.599 0.599



Entry 2:
CoNi2S4: optimized geometry, GGA-PBE.

Values from the calculation:
* DFT formation energy: -715 meV/atom
* crystal system: orthorhombic

Cell: 6.626 6.626 6.626 Å, 120.18 119.81 90.00°
Fractional coordinates of all 14 atoms:
Co: 0.500 0.000 0.000
Co: 0.500 0.500 0.500
Ni: 0.124 0.374 0.750
Ni: 0.000 0.000 0.000
Ni: 0.500 0.000 0.500
Ni: 0.876 0.626 0.250
S: 0.261 0.776 0.016
S: 0.261 0.245 0.484
S: 0.264 0.242 0.021
S: 0.721 0.242 0.479
S: 0.279 0.758 0.521
S: 0.736 0.758 0.979
S: 0.739 0.755 0.516
S: 0.739 0.224 0.984



Entry 3:
Cs2YAuI6: optimized geometry, GGA-PBE.

Values from the calculation:
* DFT formation energy: -1369 meV/atom
* crystal system: cubic

Cell: 8.598 8.598 8.598 Å, 60.00 60.00 60.00°
Fractional coordinates of all 10 atoms:
Cs: 0.750 0.750 0.750
Cs: 0.250 0.250 0.250
Y: 0.000 0.000 0.000
Au: 0.500 0.500 0.500
I: 0.750 0.250 0.250
I: 0.250 0.250 0.750
I: 0.250 0.750 0.750
I: 0.250 0.750 0.250
I: 0.750 0.250 0.750
I: 0.750 0.750 0.250



Entry 4:
La2CuN2Cl2: optimized geometry, GGA-PBE.

Values from the calculation:
* DFT formation energy: -1560 meV/atom
* crystal system: tetragonal

Cell: 4.000 4.000 8.646 Å, 103.37 103.37 90.00°
Fractional coordinates of all 7 atoms:
La: 0.402 0.402 0.804
La: 0.598 0.598 0.196
Cu: 0.000 0.000 0.000
N: 0.500 0.000 0.000
N: 0.000 0.500 0.000
Cl: 0.184 0.184 0.369
Cl: 0.816 0.816 0.631



Entry 5:
Mg3Ga: optimized geometry, GGA-PBE.

Values from the calculation:
* DFT formation energy: -36 meV/atom
* crystal system: hexagonal

Cell: 3.171 3.171 9.776 Å, 90.00 90.00 120.00°
Fractional coordinates of all 4 atoms:
Mg: 0.667 0.333 0.000
Mg: 0.000 0.000 0.742
Mg: 0.000 0.000 0.258
Ga: 0.667 0.333 0.500



Entry 6:
K2SrCl4: optimized geometry, GGA-PBE.

Values from the calculation:
* DFT formation energy: -2505 meV/atom
* excess energy over the best structure of this formula in the dataset: 0.0 meV per atom
* crystal system: monoclinic

Cell: 13.155 8.076 8.175 Å, 70.15 90.00 90.00°
Fractional coordinates of all 28 atoms:
K: 0.945 0.309 0.823
K: 0.440 0.820 0.303
K: 0.810 0.943 0.428
K: 0.627 0.257 0.997
K: 0.560 0.820 0.803
K: 0.190 0.943 0.928
K: 0.055 0.309 0.323
K: 0.373 0.257 0.497
Sr: 0.307 0.422 0.950
>>>

Assignment =
It remains to retype the contents above from the line with "La: 0.598" to the end word for word.

Here it is =
La: 0.598 0.598 0.196
Cu: 0.000 0.000 0.000
N: 0.500 0.000 0.000
N: 0.000 0.500 0.000
Cl: 0.184 0.184 0.369
Cl: 0.816 0.816 0.631



Entry 5:
Mg3Ga: optimized geometry, GGA-PBE.

Values from the calculation:
* DFT formation energy: -36 meV/atom
* crystal system: hexagonal

Cell: 3.171 3.171 9.776 Å, 90.00 90.00 120.00°
Fractional coordinates of all 4 atoms:
Mg: 0.667 0.333 0.000
Mg: 0.000 0.000 0.742
Mg: 0.000 0.000 0.258
Ga: 0.667 0.333 0.500



Entry 6:
K2SrCl4: optimized geometry, GGA-PBE.

Values from the calculation:
* DFT formation energy: -2505 meV/atom
* excess energy over the best structure of this formula in the dataset: 0.0 meV per atom
* crystal system: monoclinic

Cell: 13.155 8.076 8.175 Å, 70.15 90.00 90.00°
Fractional coordinates of all 28 atoms:
K: 0.945 0.309 0.823
K: 0.440 0.820 0.303
K: 0.810 0.943 0.428
K: 0.627 0.257 0.997
K: 0.560 0.820 0.803
K: 0.190 0.943 0.928
K: 0.055 0.309 0.323
K: 0.373 0.257 0.497
Sr: 0.307 0.422 0.950